2016-07-01 07:55 AM
I'm having issues getting my device to wake from stop mode using the RTC wake interrupt. I'm using the tickless idle function of FreeRTOS v9.0.0 to place the MCU into low power mode and I'm using the RTC wake interrupt to generate a periodic interrupt to wake from low power mode. /***** My function to enter low power mode, called from FreeRTOS *****/ void BSP_Power_EnterLowPowerMode( void ) { /* Switch on file-scope variable to choose sleep mode */ switch(BSP_LowPowerMode) { case LOW_POWER_SLEEP: PWR_EnterSleepMode( PWR_Regulator_LowPower, PWR_SLEEPEntry_WFI ); break; case STOP_MODE: PWR_EnterSTOPMode( PWR_Regulator_LowPower, PWR_STOPEntry_WFI ) ; default: BSP_ASSERT(false); break; } } /**********/Inside the RTC wake ISR, I wake a suspended FreeRTOS task. This task resets the internal watchdog timer and then places itself in suspended state. This allows my application to periodically wake and reload the internal watchdog to avoid a watchdog timeout and device reset. /***** My ISR *****/ void RTC_WKUP_IRQHandler(void) { if(RTC_GetITStatus(RTC_IT_WUT) != RESET) { /* Clear RTC and EXTI interrupt flags */ RTC_ClearITPendingBit(RTC_IT_WUT); EXTI_ClearITPendingBit(EXTI_Line20); /* Code to wake suspended task goes here*/ } } /**********/ /***** My Task *****/ void SLP_Task( void *pvParameters ) { while(1) { /* Reload the IWDG timeout */ BSP_WDG_Checkin(); /* Do Stuff */ /* Send this task to suspended state */ vTaskSuspend(TaskHandle); } }If I use Low Power Sleep mode everything works fine, my interrupt occurs periodically and the MCU exits sleep mode and resets the IWDG.If, however, I use Stop Mode my interrupt either doesn't occur or doesn't successfully bring the MCU out of stop mode. My device sits idle until the internal watchdog eventually times out causing a reset.Can anyone give any advice as to what might be going wrong? Do I need to perform additional configuration of the interrupt, or on exit from stop mode, to get the device to wake which doesn't need to be performed for low power sleep?Thanks2016-07-04 04:53 AM
Hi JoeEmerson,
Check if you have enabled both wakeup counter and wakeup interrupt, before entering stop mode, like the following:/* Enable Wakeup Counter */
**The piece is interrupted by crystal structures:**
First-principles (PBE) data for a geometry-optimized Na8Ca3Si3SnS3O24 structure, as listed in the Materials Project.

Cell lengths 9.4712, 9.4823, 22.9850 Å; angles 89.32, 89.70, 60.11 degrees
Positions (direct):
1 Na 0.0000 0.0000 0.0000
2 Na 0.0025 0.6413 0.2350
3 Na 0.0237 0.3390 0.1660
4 Na 0.0293 0.6292 0.7482
5 Na 0.0503 0.9688 0.6554
6 Na 0.2860 0.3292 0.6786
7 Na 0.3203 0.9734 0.5816
8 Na 0.3228 0.6165 0.8450
9 Na 0.3349 0.6630 0.1528
10 Na 0.3372 0.3590 0.3175
11 Na 0.3631 0.9736 0.0802
12 Na 0.3804 0.6690 0.5131
13 Na 0.3980 0.2831 0.0007
14 Na 0.6079 0.6705 0.0151
15 Na 0.6368 0.3212 0.9292
16 Na 0.6418 0.9728 0.1482
17 Na 0.6541 0.6771 0.6561
18 Na 0.6604 0.0002 0.4985
19 Na 0.6778 0.0082 0.8536
20 Na 0.6881 0.3263 0.4293
21 Na 0.7096 0.6152 0.3290
22 Na 0.9643 0.9904 0.3422
23 Na 0.9754 0.2852 0.5064
24 Na 0.9958 0.3547 0.8279
25 Ca 0.0042 0.6580 0.9007
26 Ca 0.3304 0.9969 0.7332
27 Ca 0.3351 0.9833 0.4377
28 Ca 0.3390 0.9893 0.2304
29 Ca 0.3479 0.9956 0.9337
30 Ca 0.6535 0.3423 0.2515
31 Ca 0.6585 0.3288 0.0694
32 Ca 0.6651 0.3292 0.5671
33 Ca 0.9975 0.6616 0.4026
34 Si 0.2997 0.6640 0.9971
35 Si 0.3442 0.3339 0.1653
36 Si 0.3456 0.2989 0.8258
37 Si 0.3520 0.6295 0.6611
38 Si 0.6797 0.6344 0.1644
39 Si 0.7018 0.6596 0.4987
40 Si 0.7046 0.9563 0.9978
41 Si 0.9629 0.3327 0.6636
42 Si 0.9984 0.9563 0.4987
43 Sn 0.0005 0.6551 0.5983
44 Sn 0.0025 0.6587 0.0945
45 Sn 0.6516 0.3432 0.7578
46 S 0.0021 0.3576 0.9993
47 S 0.0184 0.0032 0.8288
48 S 0.0311 0.2920 0.3332
49 S 0.2954 0.3589 0.4995
50 S 0.3364 0.6844 0.3329
51 S 0.6380 0.6783 0.8284
52 S 0.6379 0.9958 0.3322
53 S 0.6771 0.0214 0.6664
54 S 0.9703 0.0142 0.1672
55 O 0.0169 0.4570 0.3322
56 O 0.0218 0.4421 0.0518
57 O 0.0230 0.8324 0.5572
58 O 0.0968 0.0215 0.8815
59 O 0.1161 0.1993 0.3865
60 O 0.1197 0.9805 0.7767
61 O 0.1246 0.2064 0.2807
62 O 0.1373 0.9883 0.1721
63 O 0.1471 0.1825 0.6718
64 O 0.1529 0.1976 0.9967
65 O 0.1585 0.9800 0.5041
66 O 0.1663 0.5100 0.1554
67 O 0.1684 0.6393 0.6601
68 O 0.1823 0.6790 0.0558
69 O 0.1831 0.4817 0.8282
70 O 0.1919 0.4415 0.5527
71 O 0.1917 0.6608 0.3350
72 O 0.2206 0.6398 0.9384
73 O 0.2219 0.4565 0.4464
74 O 0.2992 0.1887 0.1702
75 O 0.3019 0.8362 0.0001
76 O 0.3048 0.1988 0.4974
77 O 0.3188 0.7829 0.2801
78 O 0.3262 0.2134 0.7685
79 O 0.3316 0.8099 0.6681
80 O 0.3465 0.7682 0.3855
81 O 0.3836 0.1892 0.8852
82 O 0.4106 0.3751 0.2254
83 O 0.4386 0.5090 0.7205
84 O 0.4570 0.5471 0.6043
85 O 0.4601 0.3374 0.5052
86 O 0.4714 0.2931 0.1123
87 O 0.4839 0.5068 0.0021
88 O 0.4887 0.5217 0.3307
89 O 0.5168 0.8163 0.1665
90 O 0.5227 0.3106 0.8215
91 O 0.5227 0.9764 0.0042
92 O 0.5280 0.8328 0.5034
93 O 0.5375 0.9926 0.6738
94 O 0.5379 0.7558 0.8802
95 O 0.5442 0.0102 0.3860
96 O 0.5502 0.9859 0.2807
97 O 0.5612 0.7729 0.7750
98 O 0.6508 0.1169 0.6130
99 O 0.6522 0.5106 0.8254
100 O 0.6575 0.5405 0.1100
101 O 0.6589 0.1421 0.3280
102 O 0.6699 0.5056 0.5020
103 O 0.6957 0.1085 0.7181
104 O 0.7004 0.1308 0.0023
105 O 0.7212 0.5279 0.2255
/* Enable the Wakeup Interrupt */
Otherwise, I recommned you to check the ''STOP'' example in the
, and compare with your code and configuration.
example is at this path : STM32L1xx_StdPeriph_Lib_V1.3.1\Project\STM32L1xx_StdPeriph_Examples\PWR\STOP
2016-07-05 09:19 AM
Hi Hannibal,
Thanks for your advice. After looking at the peripheral library examples I've seen that I wasn't re-configuring my system clock following wake from stop mode (according to ST documentation the system clock defaults to MSI on wake from stop mode).I have changed my code for entry to/exit from stop mode as follows: /***** Entry to stop mode *****/ PWR_EnterSTOPMode( PWR_Regulator_LowPower, PWR_STOPEntry_WFI ) ; /* Function generated by ST clock configuration tool to setup clocks */ SystemInit();After making this change I am able to observe the RTC wakeup interrupt bringing the MCU out of sleep mode. However, this only happens once rather than periodically. The only way I have been able to achieve a periodic wakeup has been to reset and reconfigure the RTC on each wake from stop mode ( using RCC_RTCResetCmd() and then re-configuring the RTC clock and interrupt ) which doesn't seem to be an ideal solution.Thanks again for your help, if I manage to find a better solution I'll add an update.